Zane took a moment to steady himself, and then crossed to the other side of the street. The agent saw him coming and nodded at him, then turned, following a small tour group into the cemetery and breaking off to the right. Ty had told the FBI contact to meet them in the front of the cemetery.

“He’s heading in. It’s a trap,” Ty said in Zane’s ear. “Everybody bug out.”

“Negative,” Zane said, and he followed the man into the cemetery.

“Dammit, Garrett, the others can’t cover you in there!” Ty shouted.

Zane nodded. He’d spent most of his time undercover alone; he was more used to taking these types of risks than Ty was. And he had every confidence that Ty’s sniper rifle would cover him just fine.

Zane trailed through the maze of tombs, following the directions Ty whispered in his ear. He headed to the back where Ty said the Protestant section would be. It was a grassy area, devoid of vaults and mostly clear. It took Zane many twists and turns, and several dead ends with Ty’s voice in his ear telling him which way to go, before he found it.

The agent was sitting on an iron bench, waiting for him. He was possibly the most Federal-looking FBI agent Zane had ever seen: black suit, loafers, sunglasses, and a thick black tie. He’d unbuttoned his jacket and his shoulder holster was partially visible, and his pants leg rode up to reveal his backup holster and weapon. A field agent he was not.

Zane sighed and stepped out of the row of tombs he’d cut through. The man straightened when he caught sight of Zane, and he stood, buttoning his jacket.

“Special Agent Howard?” Zane asked.

“That’s right. Are you Garrett?”

Zane nodded.

“Where’s your CI?”

“My CI?”

“You said you were bringing in a CI. A Tyler Beaumont.”

“Oh, yeah. Yeah, he’s the one with that little red dot on your chest,” Zane said, pointing to Howard’s tie.

Howard looked down and jerked when he saw the laser sight dancing on his tie. His eyes were wide and scared when they met Zane’s. He reached for his gun, but his buttoned suit impeded him, so he brought his wrist to his mouth and ducked, as if that would save him from Ty’s sniper rifle.

“They’re onto us! They came armed!” he shouted to whoever was on the other end of his radio.

Zane cursed and turned to duck behind the nearest row of tombs. The telltale pops of a suppressed weapon echoed in the humidity. Marble chips flew as the rounds hit next to Zane’s head. He ducked and weaved left, covering his head. He could hear the others in his ear bud. None of them sounded panicked. In fact, Ty’s voice came over the frequency as calm as if he were ordering a sandwich at the local deli. Zane had heard more emotion from Ty as he watched a football game.

“Got five going over the northeast wall,” Ty said in Zane’s ear.

“Which one’s northeast?” Owen shouted.

“Not yours. Garrett’s hemmed in.”

“Aye aye, we’re going in,” Nick growled. More suppressed pops came from the wall, followed by the boom of Nick’s weapon.

“Five more through the main entrance,” Ty murmured. “These aren’t locals. Get out.”

Shots fired from the roof. Zane peered around the tomb to see Special Agent Howard scrabbling for cover. Bullets hit at his feet, kicking up earth and grass, making him dance back and forth. Ty was playing with him, pinning him down.

Tourists screamed in the distance. Horses whinnied. Sirens began to blare from the traffic station down the street. Zane lunged from his hiding spot and ran low, angling toward Howard, where he was trapped in the open by Ty’s covering fire. A bullet whizzed past his arm, so close it burned.

“Shit. Sorry,” Ty said in his ear.

“Watch it!” Zane snarled. He reached Howard and grabbed him by the scruff of his neck, jerking him to his feet and pulling him toward the tombs. He saw Nick and Kelly scaling the gate on the back wall.

When he reached cover, Zane slammed Howard to the ground and held his gun to the man’s nose. He patted him down, taking all his weapons, his badge, and his car keys.

“Six, you got cops on your position in three,” Nick shouted.

Ty ignored the warning and fired more shots. Someone in the cemetery screamed.

“Two down. And a half. Seven live. Get your asses out of there!” Ty ordered. “Garrett, quit dancing with him and move!”

Zane didn’t release the man, instead gripping him hard by his collar and forcing him along with him.

“It’s too hot up here, I’m gone,” Ty said. “Clear out!”

Shots continued to echo through the cemetery, but the sniper rifle fell silent.

Zane craned his head to look up at the roof as he dragged Howard through the maze of vaults and tombs. Ty had finally abandoned his post, but Zane didn’t know how he planned to get out of that building now that all hell had broken loose.

Data records, kept here for reference.
/*
DFT (ωB97M-V with the def2-TZVPD basis set) results for C99H198Cl2F6N14O23S6 as an isolated structure.

The geometry in XYZ format:
```
348
Properties=species:S:1:pos:R:3:forces:R:3:lowdin_charge:R:1
Cl -4.9337 -1.6750 -0.9292 -0.031 -0.036 -0.066 -0.023
Cl 4.5980 -6.2865 -0.9057 0.679 0.056 0.343 0.097
S 2.4133 0.7540 -1.6399 1.522 3.179 -0.228 0.578
S 2.7498 3.3315 -0.5048 -0.236 -0.156 -1.377 0.482
S 0.5437 0.1008 -6.0024 -2.015 -1.226 -1.587 0.459
S -2.0653 0.8279 3.4230 0.622 3.850 1.331 0.391
S -1.8036 0.4016 -7.5149 1.297 -0.160 1.892 0.472
S -3.0458 2.6978 5.2758 -1.218 -1.638 -2.657 0.449
F 3.6262 4.3360 -1.4440 -0.332 -0.156 0.392 -0.230
F -0.0918 -0.8000 -4.8431 0.225 -0.280 0.291 -0.205
F -2.8107 1.4771 2.1941 0.426 0.033 -0.941 -0.179
F 1.5872 1.4963 -2.8604 1.264 -0.990 1.315 -0.210
F -3.4047 2.1006 6.6063 -0.506 -0.703 3.100 -0.148
F -1.3444 1.7446 -8.1651 -0.065 -0.214 -1.254 -0.142
O -3.7973 -0.6047 -3.9179 -2.290 5.102 1.742 0.128
O -0.1757 -3.3825 3.0401 2.400 0.720 0.463 0.182
O 3.7509 2.4471 -4.4013 2.020 -0.924 -2.382 0.180
O -4.2301 3.4048 4.9054 0.262 0.532 -0.223 -0.292
O 2.7568 7.0583 4.2395 1.978 -5.264 5.092 0.140
O 3.5830 -4.1298 -2.6047 -1.404 6.899 2.549 0.140
O -1.8288 3.3892 5.4821 0.826 0.316 -0.216 -0.278
O 1.3872 3.6112 -0.9017 0.839 -0.342 0.240 -0.312
O -0.8660 -3.5819 -6.6609 2.982 1.284 0.990 0.225
O -2.5038 0.9298 -6.3893 -0.595 -0.246 0.965 -0.311
O 3.1527 3.6666 0.8153 0.184 0.305 0.506 -0.291
O 1.3661 0.2604 -0.8149 -0.037 -0.002 0.322 -0.283
O -1.5086 -6.3266 -0.0756 -3.163 0.707 0.482 0.144
O -0.7712 1.4714 3.5122 -0.577 -0.702 -0.703 -0.310
O -2.5220 -0.4665 -8.3746 -0.153 0.208 -1.046 -0.274
O -6.8281 1.2720 3.9220 -0.551 -1.360 -1.208 0.227
O 2.2326 6.4509 -0.7214 1.394 -1.939 1.472 0.196
O -6.5310 6.5023 11.2713 -0.046 -0.604 -5.758 0.189
O 10.6218 -3.6980 -0.2150 0.133 2.151 0.954 0.228
O 1.8026 -0.4893 -6.2802 0.855 0.209 0.544 -0.279
O 3.3675 -0.1398 -2.2090 -0.589 -0.308 -0.366 -0.296
O -2.1620 -0.5433 3.2289 0.208 -3.328 -0.924 -0.285
O 0.3705 1.4046 -5.4870 0.515 1.077 0.234 -0.281
N -3.0415 1.2332 4.5381 0.035 1.514 1.270 -0.300
N 4.6673 2.3235 -5.1992 -1.845 2.058 3.508 0.052
N -2.6452 -6.1271 0.3422 3.483 -0.616 -0.705 0.031
N 1.8334 7.3942 -1.2236 -2.751 2.396 -2.275 0.027
N 3.4284 1.9810 -0.9980 -2.767 -1.717 -0.765 -0.285
N -4.2266 0.4782 -3.4555 2.319 -3.160 -1.051 0.087
N -1.8994 -3.9323 -7.0004 -1.539 -1.374 -0.963 0.028
N -7.3831 0.2621 3.6141 -0.631 -0.299 3.296 0.039
N 10.4180 -4.7392 -0.6564 0.491 -3.003 -2.200 -0.018
N -0.4065 -0.3046 -7.2152 -0.163 0.344 0.249 -0.306
N -6.5515 6.4920 10.0014 1.124 -0.067 5.772 0.053
N 3.6247 -5.1759 -2.9752 1.272 -9.085 -3.421 -0.213
N 0.8377 -2.9386 3.5350 -3.025 1.110 -1.433 0.041
N 3.0320 6.1788 5.2051 -3.794 5.534 -5.173 0.106
C -7.1386 7.7376 9.3556 1.879 0.960 -0.567 -0.405
C 3.6268 3.8203 5.1875 1.068 -0.345 0.280 0.012
C -9.1220 -2.0303 2.9967 -1.955 1.018 -1.603 -0.169
C 2.8935 -7.6315 -3.1854 -0.550 -0.319 -0.079 -0.140
*/

There was more gunfire from the back of the cemetery. Zane couldn’t tell if Sidewinder was chasing the unfriendlies or if they were now being chased. Agent Howard fell to his knees, whimpering and tugging at Zane’s hand.

“Get up!” Zane shouted. He yanked him hard, slamming him against the crumbling exposed brick of an ancient vault. He shoved his gun under Howard’s chin. “Who’d you call?”

Howard began blubbering. Zane could barely make out his words. He yanked the ear bud from his ear to be rid of the chatter and shoved the gun harder against Howard’s neck. “Shut your damn mouth.”

Howard’s sniveling cut off with a gulp. “Please don’t kill me,” he whispered. “I have a family.”

Zane bared his teeth. “I don’t care. Who did you call?”

“Police commander. Gaudet.”

“This isn’t cop firepower; who else is involved?”

“He—he said he had help. Someone new in town.”


Howard jerked his head from side to side. He was trembling. “Spanish. I don’t know.”


“I don’t know! Please God, don’t hurt me.”

Zane released him. He peered over the vault. The gunfire continued. He stuck the ear bud back in, only to be greeted by garbled shouts and echoes of shots.

He stepped away from Howard and pointed the gun at the man’s leg.

“Oh, God no!”

“This is your final lesson in loyalty,” Zane growled. He put a bullet in the man’s kneecap and darted away.